November 9 - 15, 2014: Issue 188
Fresh Approach for Kakadu's Threatened Species

Someone pasted molecular data at this point:
+++
Record 1
The following is a DFT calculation (ωB97M-V with the def2-TZVPD basis set) of a structure of composition C6H15BCuO6P.

Structure (XYZ):
```
30
C6H15BCuO6P, DFT ωB97M-V with the def2-TZVPD basis set
Cu 3.176 1.308 2.906
P -1.798 -3.524 0.576
O -1.774 -3.461 2.071
O -0.841 1.892 1.292
O -1.470 -0.715 0.507
O 2.542 0.820 -1.793
O -1.788 -1.596 -1.638
O 1.154 0.820 1.229
C 2.567 -0.008 -0.637
C -1.322 0.274 -0.439
C 0.471 2.093 1.166
C 2.418 0.771 0.656
C -1.580 1.648 0.089
C -2.173 -0.232 -1.601
B -1.148 -1.908 -0.337
H 2.297 1.723 -1.571
H 0.793 2.706 2.025
H -1.912 0.211 -2.562
H -1.028 -4.640 0.154
H -3.093 -3.835 0.087
H -1.317 2.388 -0.670
H -3.239 -0.141 -1.380
H -2.625 1.799 0.343
H 0.746 2.619 0.243
H 1.738 -0.714 -0.697
H -0.300 0.248 -0.865
H 3.066 0.203 1.387
H 0.098 -1.976 -0.395
H 2.832 1.780 0.495
H 3.509 -0.551 -0.641
```

## Properties
- E_tot: -2695.5610 Ha
- HOMO level: -0.2408 Ha
- Spin multiplicity: 1

Okay, here come the natural (NBO) numbers, in e, for every atom: number 1, Cu, carries 0.9520; number 2, P, carries 1.2900; number 3, O, carries -1.1401; number 4, O, carries -0.4916; number 5, O, carries -0.6900; number 6, O, carries -0.6948; number 7, O, carries -0.7269; number 8, O, carries -0.5616; number 9, C, carries -0.1083; number 10, C, carries 0.0345; number 11, C, carries 0.2533; number 12, C, carries -0.1294; number 13, C, carries -0.0697; number 14, C, carries -0.0674; number 15, B, carries 0.3230; number 16, H, carries 0.4613; number 17, H, carries 0.1277; number 18, H, carries 0.1613; number 19, H, carries -0.1283; number 20, H, carries -0.1239; number 21, H, carries 0.1612; number 22, H, carries 0.1563; number 23, H, carries 0.2035; number 24, H, carries 0.1321; number 25, H, carries 0.2552; number 26, H, carries 0.1307; number 27, H, carries 0.0918; number 28, H, carries -0.1567; number 29, H, carries 0.1745; number 30, H, carries 0.1803

Record 2
The following is a DFT calculation (ωB97M-V with the def2-TZVPD basis set) of a structure of composition C6H15BINOZr at a distorted geometry.

Structure (XYZ):
```
26
C6H15BINOZr, DFT ωB97M-V with the def2-TZVPD basis set
I -2.200 -2.487 -1.829
Zr -4.096 -4.081 -1.296
O 1.896 1.975 1.531
N 4.024 -0.335 1.475
C -1.319 -0.478 -1.217
C 1.637 1.116 0.619
C 0.476 0.168 0.878
C -2.356 0.506 -0.657
C 3.527 0.190 0.401
C -3.839 0.252 -0.951
B -0.004 -0.743 -0.366
H -0.321 0.806 1.280
H -2.120 1.468 -1.125
H -0.950 -0.097 -2.181
H 1.310 1.942 2.324
H 3.261 -0.591 -0.333
H 0.699 -1.650 -0.682
H -4.291 -0.385 -0.189
H 0.775 -0.538 1.668
H 4.996 -0.113 1.751
H 1.549 1.664 -0.338
H 4.132 1.011 0.008
H -4.018 -0.111 -1.963
H -4.371 1.200 -0.883
H 3.850 -1.330 1.657
H -2.246 0.639 0.419
```

## Properties
- E_tot: -735.1760 Ha
- HOMO level: -0.7819 Ha
- Spin multiplicity: 1
- Charge: +4
+++

Kakadu floodplain. photo by Michael Lawrence Taylor.
Fresh Approach for Kakadu's Threatened Species
Joint media release - 3 November 2014
The Australian Government is ramping up action to bring threatened species back from the brink of extinction in Australia’s largest national park, Kakadu.
As thousands gather in Sydney ahead of World Parks Congress, Parliamentary Secretary for the Environment, Senator Simon Birmingham released Kakadu’s Threatened Species Strategy today, a major change in Kakadu’s approach to threatened species.
“The strategy was developed primarily by leading wildlife expert Professor John Woinarski, through the Northern Australia Hub of the Australian Government’s National Environmental Research Program,” said Senator Simon Birmingham, Parliamentary Secretary for the Environment.
Work to implement the strategy will start immediately, through a $750,000 investment coordinated by Threatened Species Commissioner Gregory Andrews. This is in addition to the significant conservation work funded through Kakadu’s total $17 million annual budget. The $750,000 will deliver four priority projects, in partnership with Indigenous ranger groups where possible:
• Project 1 - Intensive work to target threats from fire, weeds and feral animals in crucial habitat, extending from the Stone Country to the lowland woodlands.
• Project 2 - Creating a wildlife refuge on Gardangarl (Field Island) for species struggling on the mainland including small mammals and goannas.
• Project 3 - Expanding of the ‘toad smart’ quolls project, building on the highly successful research conducted in Kakadu since 2010.
• Project 4 - Seedbanking and propagating threatened plant species, many of which occur nowhere else in the world.
“The strategy means more on-ground work to control direct threats such as feral cats, pigs, buffalo, weeds and fire. The park will continue its landscape-scale work to keep habitats healthy, but boost it with targeted intensive effort to reduce threats and support threatened species recovery,” Senator Birmingham said.
“To underpin the new approach, Kakadu will use the strategy’s recommendations to fine tune the way it does business, from operational and financial management through to staffing. This will allow direct tracking of investment and underpin clear public reporting of results.
“This Kakadu rescue plan, and the strategy that underpins it, are an impressive package of work from one of Australia’s top scientists, Professor John Woinarski. This plan is built on more than a year of consultation with traditional owners, leading researchers and park staff.
“This strategy nails the causes of Kakadu’s biodiversity decline with a fearsome mix of feral cats, other invasive species and inappropriate fire practices. It sets the road map for effective action.
“Despite the concerns and efforts over many years of park staff and traditional owners, we’ve been losing ground in Kakadu, and the survival of many species has almost slipped through our fingers. We need to do things differently, and better.
“This is the start of a long journey. The strategy runs for 10 years, and it will need a mix of urgent and sustained effort. The problems in Kakadu have developed over many years, so turning things around is going to take time, but I am determined that Kakadu can set an example of best practice management for other parks to follow.”
Researcher Peter Kyne with a Northern River Shark, photo by Michael Lawrence-Taylor
Chair of the Kakadu Board, Maria Lee, said it is important for traditional owners and the Kakadu Board of Management to work with Parks Australia to look after country.
“We have been worried about some of the plants and animals for a long time as their numbers seem to be getting less and less. We think that this strategy is a good thing and we ask the government to help us put it in place,” Ms Lee said.
A decade ago, Threatened Species Commissioner Gregory Andrews was living and working in the park with traditional owners. He returned recently and was struck by the changes. Fires have been too frequent and too fierce, and there are noticeable changes in the number and types of animals.
“Inappropriate fire is a major concern for our threatened plants and animals,” Mr Andrews said. “Some plants need decades to mature, meaning inappropriate fire can wipe them out. We also know that inappropriate fire makes feral cats even more effective hunters and takes away the hiding places for our threatened reptiles, birds and small mammals.
“As Threatened Species Commissioner, my role is to marshal expertise and deploy resources where they are most needed, and without a doubt Kakadu is high on that list. I’ve seen Kakadu elders moved to tears at the loss of bandicoots, quolls and wallabies from their lands. For them, and for all Australians, it’s time to ramp up our efforts to save this special place.”
Researcher Peter Kyne with a Sawfish, photo by Michael Lawrence-Taylor.
Professor John Woinarski is the lead author of the Kakadu Threatened Species Strategy, and has worked in Kakadu for many years. “Over recent decades, we’ve witnessed major declines in the previously extraordinarily rich biodiversity of Kakadu. It is a tragedy that needs to be recognised and remedied. This strategy offers that remedy,” Professor Woinarski said.
“Kakadu is one of Australia’s premier national parks and one of our most important places for biodiversity. We have the opportunity here to set a standard, to show that we can make a difference and improve the outlook for our declining biodiversity. It will be a challenge, but it is heartening to see that those responsible will accept this challenge.
“In part, the problem here is that Kakadu is over-blessed with riches. There are so many threatened species occurring here, each faced with a different array of threats, of differing urgency, and at different locations. The strategy helps managers prioritise species and management responses, to ensure that investments are most likely to achieve the best responses.
“This strategy also seeks to raise awareness of this conservation need and opportunity, so visitors to Kakadu can better understand the values and management requirements. It is a beautiful place, but it needs our care.”
Kakadu is home to more than 75 threatened species, probably more than any other Australian conservation reserve. Like most of northern Australia, the park has seen a worrying decline in threatened species over the last decade. In 2009, Professor Woinarski and others found a 75 per cent drop over the previous five years in the abundance of small mammals in Kakadu. That rate of decline has since slowed, but without intervention the outlook would be bleak.

Kakadu Rangers and Researchers working together to tackle floodplain weeds, photo by Michael Douglas.

(Molecular data that have nothing to do with the article)
/*
Entry 1:
13
Properties=species:S:1:pos:R:3:forces:R:3:nbo_charge:R:1 method="wB97M-V/def2-TZVPD" homo_ev=-8.714 orbital_gap_ev=9.29 max_force_ev_per_a=4.68 charge=0 relative_energy_kcal_mol=110.99
O 0.79717 -0.82243 -0.04223 0.230 0.547 -0.158 -0.466
O 4.05829 -0.26378 -0.09518 -0.358 0.103 0.238 -0.432
C -0.87224 -1.72605 1.14148 1.505 0.093 -1.345 -0.761
C 1.71048 0.24340 -0.38491 -3.431 1.384 -0.238 -0.027
C 1.15127 1.62415 -0.60886 -0.714 -0.043 1.272 -0.658
C -0.12162 -0.50207 0.82857 0.296 0.199 -0.620 0.271
C 2.91856 -0.02179 -0.16795 4.557 -1.062 0.018 0.657
H -1.88362 -1.46669 1.14187 -1.645 -0.071 0.964 0.238
H -0.33917 -1.96816 2.02468 -0.419 -0.302 1.905 0.256
H 1.72084 2.54552 -0.31725 -0.227 -1.321 0.185 0.238
H 0.23217 1.48494 0.00087 0.400 0.947 0.041 0.262
H 0.79257 1.80827 -1.58511 -0.118 -0.113 -1.432 0.214
H -0.65166 -2.57430 0.51841 -0.075 -0.361 -0.831 0.207

***

Entry 2:
13
Properties=species:S:1:pos:R:3:forces:R:3:nbo_charge:R:1 method="wB97M-V/def2-TZVPD" homo_ev=-8.551 orbital_gap_ev=8.10 max_force_ev_per_a=3.01 charge=0 relative_energy_kcal_mol=156.93
O 1.93354 -1.50445 -0.60382 -0.272 0.709 -0.191 -0.477
O -1.47477 1.63358 0.23656 0.243 0.562 -0.839 -0.537
C -0.86372 -1.01751 -0.01362 -0.249 -0.052 0.757 -0.535
C 1.60106 -0.34738 -0.54611 0.217 -0.117 -0.048 0.414
C -0.40938 1.41632 -0.30330 -1.023 0.313 -1.054 0.330
C 0.23992 0.09970 -0.12906 0.277 0.423 0.636 -0.327
C -0.72273 -1.01537 1.44168 0.794 0.155 0.169 -0.058
H 0.58645 1.00442 0.70865 0.080 -2.973 0.448 0.337
H -1.02569 -0.00896 1.78170 -0.712 -0.369 0.015 0.104
H -0.59111 -1.96780 -0.50872 0.252 0.657 0.240 0.238
H 2.32387 0.47583 -0.68294 0.141 0.006 -0.203 0.120
H -1.78168 -0.59507 -0.44838 0.213 0.138 0.145 0.235
H 0.16928 2.14126 -0.87990 0.038 0.549 -0.075 0.156

***

Entry 3:
13
Properties=species:S:1:pos:R:3:forces:R:3:nbo_charge:R:1 method="wB97M-V/def2-TZVPD" homo_ev=-8.042 orbital_gap_ev=6.82 max_force_ev_per_a=2.97 charge=0 relative_energy_kcal_mol=104.54
O 1.83131 -1.54964 1.47422 -0.140 0.481 0.390 -0.501
O -0.98165 -2.23012 0.20942 -0.146 0.265 -0.145 -0.515
C -0.14445 -1.50498 -0.23692 1.793 -0.309 0.922 0.273
C -0.54156 0.67092 0.31137 0.572 1.188 1.245 0.042
C -0.31557 0.98208 -1.13964 -0.073 -0.817 -0.203 -0.667
C 1.07543 -0.72835 1.06166 -0.445 -1.817 -2.306 0.538
C 0.46617 0.48539 1.28639 -1.034 0.850 -0.124 -0.418
H 0.26175 -1.60578 -1.26948 -0.313 0.038 -0.132 0.108
H -0.37026 2.07445 -1.23786 -0.019 -0.119 0.214 0.252
H 0.65131 1.11664 2.15020 -0.326 -0.090 0.111 0.227
H -1.50279 1.05160 0.66731 0.122 0.311 -0.008 0.199
H -1.09620 0.57066 -1.78563 0.055 0.030 0.000 0.233
H 0.66653 0.66713 -1.49104 -0.046 -0.013 0.035 0.229

***

Entry 4:
13
Properties=species:S:1:pos:R:3:forces:R:3:nbo_charge:R:1 method="wB97M-V/def2-TZVPD" homo_ev=-10.269 orbital_gap_ev=11.26 max_force_ev_per_a=0.61 smiles="C#C[C@@H](C)OC=O" charge=0 relative_energy_kcal_mol=43.41
O 2.41789 0.50565 0.49835 -0.084 -0.371 -0.474 -0.570
*/

Quoll_C. Photo by Jonathan Webb.

## Someone pasted quantum chemistry results at this point
=====
[1]
Molecular formula: C5H10N2O2
Method: DFT, ωB97M-V with the def2-TZVPD basis set

Output
Highest occupied orbital energy, eV: -8.445
HOMO-LUMO gap, eV: 8.0
M, g/mol: 130.15

Atoms and positions in Å:
C 1.90 1.54 -0.31
C 0.23 -0.22 1.64
N 0.80 0.70 -0.78
C 0.22 -0.58 0.16
O 1.17 0.16 -2.02
O 0.62 -1.69 -0.23
H 1.14 -0.81 -1.84
H 2.10 2.29 -1.07
H 1.60 2.03 0.61
H 2.80 0.95 -0.15
H -0.32 -0.99 2.18
H 1.27 -0.24 1.98
H -0.20 0.75 1.85
C -2.50 -1.02 -0.21
C -1.35 -0.09 -0.40
N -1.16 0.98 -0.94
H -3.37 -0.69 -0.78
H -2.75 -1.06 0.85
H -2.19 -2.01 -0.53

Results of the natural (NBO) charge analysis, in e, for atoms 1 through 6: -0.4444 -0.6949 -0.0211 0.5283 -0.5670 -0.7068

[2]
Molecular formula: C15H18N3O7SeZr
Method: DFT, ωB97M-V with the def2-TZVPD basis set

Output
Net charge: +1
Highest occupied orbital energy, eV: -11.823
HOMO-LUMO gap, eV: 8.4
M, g/mol: 522.51

Atoms and positions in Å:
Zr -0.86 0.82 0.08
O -3.37 -0.78 -1.82
C -2.62 -1.08 -0.95
O -2.44 -0.35 0.19
C -1.66 -2.26 -1.03
C -0.90 -2.48 0.29
C -0.07 -3.75 0.25
C 1.13 -3.34 -0.64
C 0.73 -1.93 -1.05
O 0.11 -1.41 0.17
C -0.47 -1.94 -2.02
C -0.54 -0.58 -2.68
O -0.67 -0.35 -3.84
O -0.36 0.44 -1.77
H -2.21 -3.13 -1.38
H -1.48 -2.33 1.19
H -0.64 -4.58 -0.17
H 0.26 -4.04 1.25
H 1.27 -3.99 -1.50
H 2.06 -3.31 -0.07
H 1.55 -1.29 -1.35
H -0.37 -2.69 -2.80
C -3.95 4.32 1.19
O -2.62 4.68 0.69
C -1.86 3.72 0.29
O -2.18 2.51 0.32
N -0.67 4.10 -0.19
N 0.19 3.07 -0.58
H -4.42 5.27 1.42
H -3.86 3.70 2.07
H -4.50 3.80 0.41
H -0.39 5.07 -0.24
H 1.06 3.14 -0.06
H 0.38 3.12 -1.58
Se 0.52 1.15 2.27
C 2.17 0.31 1.72
C 2.89 -0.41 2.66
C 4.07 -1.01 2.26
N 4.55 -0.95 1.02
C 3.85 -0.26 0.13
C 2.66 0.39 0.43
H 2.53 -0.49 3.68
H 4.66 -1.58 2.97
H 4.27 -0.21 -0.87
H 2.14 0.92 -0.37

Results of the natural (NBO) charge analysis, in e, for atoms 1 through 6: 2.2215 -0.5099 0.7699 -0.8417 -0.3417 0.0917

[3]
Molecular formula: C2H3N2O2
Method: DFT, ωB97M-V with the def2-TZVPD basis set

Output
Net charge: +1
Highest occupied orbital energy, eV: -15.059
HOMO-LUMO gap, eV: 6.2
M, g/mol: 87.06

Atoms and positions in Å:
C 2.63 0.69 0.30
C 0.48 1.10 -0.96
N 3.47 -0.17 0.06
N 1.43 0.78 -0.41
O -1.15 -0.78 -0.20
O 4.13 -1.03 -0.21
H 2.80 1.30 1.11
H -1.41 -1.68 -0.36
H -1.54 -0.43 0.55

Results of the natural (NBO) charge analysis, in e, for atoms 1 through 6: 0.1948 0.5814 0.4272 -0.6237 -0.9544 0.1023

[4]
Molecular formula: C3H10N4
Method: DFT, ωB97M-V with the def2-TZVPD basis set

Output
Highest occupied orbital energy, eV: -8.578
SMILES: [H]/N=N/[H].C/N=C(/C)N
HOMO-LUMO gap, eV: 9.4
M, g/mol: 102.14

Atoms and positions in Å:
H 1.49 0.05 -1.30
N 2.02 -0.66 -0.79
N 2.29 -0.25 0.36
H 2.85 -0.96 0.85
C -1.18 -1.74 -0.42
N -1.10 -0.34 -0.71
C -0.59 0.53 0.06
C -0.65 1.97 -0.34
N -0.03 0.32 1.34
H -0.75 -2.30 -1.25
H -2.24 -2.01 -0.36
H -0.70 -2.09 0.50
H 0.34 2.34 -0.65
H -1.34 2.09 -1.18
H -1.01 2.57 0.49
H 0.41 1.11 1.78
H 0.19 -0.62 1.63
=====

Kakadu River. Photo by Michael Lawrence-Taylor.